Exercise:
What is needed: give back the calculation results below without additions.

Contents:
=====
DFT (GGA-PBE) results for an optimized crystal structure of Sm12Er7Tl.

The energy of formation is 0.17 eV/atom. The density of states at the Fermi level is 1.66 states/eV/atom. The spin magnetization comes out at 0.04 μB/f.u.

The structure belongs to space group R-3 (No. 148, hexagonal axes); the cell edges are 12.1621, 12.1621 and 15.3233 Å and the angles 90.00°, 90.00° and 120.00°. The inequivalent atoms are Sm at (0.0281, 0.5783, 0.2112), Sm at (0.0577, 0.4684, 0.5847), Er at (0.0000, 0.0000, 0.0000), Er at (0.0498, 0.8638, 0.3036) and Tl at (0.0000, 0.0000, 0.5000).
=====

Here it is:
DFT (GGA-PBE) results for an optimized crystal structure of Sm12Er7Tl.

The energy of formation is 0.17 eV/atom. The density of states at the Fermi level is 1.66 states/eV/atom. The spin magnetization comes out at 0.04 μB/f.u.

The structure belongs to space group R-3 (No. 148, hexagonal axes); the cell edges are 12.1621, 12.1621 and 15.3233 Å and the angles 90.00°, 90.00° and 120.00°. The inequivalent atoms are Sm at (0.0281, 0.5783, 0.2112), Sm at (0.0577, 0.4684, 0.5847), Er at (0.0000, 0.0000, 0.0000), Er at (0.0498, 0.8638, 0.3036) and Tl at (0.0000, 0.0000, 0.5000).